Last time I gave descriptions of the classic player races used in Ranoc. Today, I give the descriptions of the classic monster races that can be player races: Centaurs, Goblins, Hobgoblins, Kobolds, Minotaurs, Mohani (Lizardfold), and Ogres. Like the player races, I have tried to make each of them somewhat unique, differing them in significant ways from the expectations while keeping them identifiable.
37 points
Average Height: 7', (4' 6" at the horse's shoulder).
Average Length: 7'.
Average Weight: 730 lbs.
Age of Maturity: 16 years.
Average Lifespan: 80 years.
Attribute Modifiers: IQ -1 [-20].
Secondary Characteristic Adjustments: SM +1; HP +4 (Size, -10%) [8]; Basic Move +2 [10].
Advantages: Claws (Hooves) [3]; Enhanced Move (Ground) 1/2 [10]; Extra Legs (4 Legs) [5]; Lifting ST +4 (Size, -10%) [11]; Striking ST +4 (Kick Only, -60%; Size, -10%) [6].
Perks: Fur [1].
Disadvantages: Short Arms (Two Arms) [-10].
Centaurs are considered among the civilized humanoids not because of any real centaur civilization, past or present, but solely because they have been accepted as such for a long time.
The majority of the centaurs live in the plains of the Rochladastacht, although most feel no real loyalty to the nation of Rochlad. The rolling plains of the region are well-suited for the centaur's free spirited nature. They are also found in the forests that border the plains, although they rarely venture over the mountains into the Vast Expanse or the Northeast Frontier. Many are also found in the hills of the southern Teyoth region.
Centaurs are quite sociable around their own people. Despite their mass, they are reputed to have a low alcohol tolerance, and are generally crude and boorish when under the influence. They generally survive through a mixture of hunting, foraging, fishing, agriculture, and trade. While they distrust orcs and goblins, and welcome elves, they view humans with mixed emotions, and often ask them to leave the local territory when encountered.
Centaur tribes are matriarchal in nature; while the males are primarily hunters and scouts, the females lead and administer the tribes. Some scholars believe this has influenced Rochlad's culture. Males often engage in ritual combats when vying for mates.
Most centaur lairs are located near running water, and often consist of nomadic tents, huts, and lean-tos that can be broken down and moved within hours.
Centaurs take pride in being archers, preferring to use longbows. Most are also skilled with spears, lances, and broadswords. There are a few centaurs that have learned to use muskets, but they rarely use them due to the loud noise and clouds of thick black smoke created by the guns.
Centaurs rarely provoke fights, although they will finish them. Their normal response to aggression is flight, firing behind them to discourage pursuit, although one who is in a bad mood is just as likely to stand and meet the aggressor head-on or just charge forward with a braced spear. Against creatures powerful enough to threaten their tribe, half of the tribe's warriors circle around to flank the creature from behind.
5 points
Average Height: 3'.
Average Weight: 30 lbs.
Age of Maturity: 8 years.
Average Lifespan: 40 years.
Attribute Adjustments: ST -4 [-40]; DX +2 [40].
Secondary Characteristic Adjustments: SM -2; Basic Move -1 [-5].
Advantages: Acute Vision 2 [4]; Clinging [20]; Silence 3 [15]; Slippery 3 [6].
Disadvantages: Appearance (Unattractive (to other races)) [-4]; Bad Back (Mild) [-15]; Easy to Kill -2 [-4]; Short Lifespan -1 [-10]; Weak Bite [-2].
Goblins are small, weak humanoids with green skin. They are expert climbers, with microscopic claws which enable them to stick to most rough surfaces. They are also able to move without making noises, and excrete a clear substance which makes it difficult for others to hold onto them. This substance, known as 'goblin slime' among other races, also lets them move through spaces that would normally be too small for others of the same size, such as kobolds and halflings, to get through. This same slime is a valued, albeit very inexpensive, alchemical component for stealth elixirs.
Gone are the days of the goblin tribes. Goblins are the one "monster race" that has seemingly been seamlessly integrated into human society; it's not uncommon nowadays for entire neighborhoods in human cities and towns to be composed solely of goblins.
Seeing that the humans and their allies were gaining dominance in the world, the goblins decided it was better to join the humans rather than fight against them. Still, most goblins tend to live in the slums of human cities; millennia of being considered a "monster" race have left most other people with the idea that goblins are inherently inferior to most others, and the goblins as a race have yet to overcome their feelings of persecution.
Surprisingly, goblins get along well with halflings. This is in part because goblins and halflings can look each other in the eye rather than needing to look up at the other race. Another is a feeling of kinship; both are small people in a world dominated by humans.
Because goblins tend to be smaller than most others yet nimble and agile, most favor quick hit-and-run tactics. The popular literary image of the hero being swarmed by a horde of goblins working for the enemy has no basis in reality. Goblins tend to work well in groups, often using decoys and flanking tactics on their enemies.
35 points
Average Height: 5' 6".
Average Weight: 125 lbs.
Age of Maturity: 15 years.
Average Lifespan: 70 years.
Attribute Adjustments: DX +1[20].
Advantages: Chameleon 3 [15]; Silence 3 [15]; Slippery 2 [4].
Disadvantages: Appearance (Unattractive (to other races except goblins)) [-4]; Easy to Read [-10]; No Sense of Smell/Taste [-5].
Hobgoblins are humanoids who are similar to goblins in appearance, but much taller, standing closer to humans in height. They are similar to goblins in that they can move silently and excrete 'goblin slime' (see Goblins, above), although the slime of a hobgoblin is not as potent as that of a goblin. In addition, they have the natural ability to blend into their background.
Hobgoblins tend to be insular, living in their own communities rather than joining their smaller cousins in integrating with human society. This tendency towards insulation led the Great Empire of Man to give the hobgoblins their own province when it was decided to try and 'civilize' them.
The hobgoblins' natural abilities let them perform as excellent scouts, although their lack of a sense of smell leads them to misjudge many things that would be obvious to others – for example, a hobgoblin cannot distinguish between a stew over a cooking fire, an herbalist's bubbling concoction, or a washer-woman's laundry without actually observing the contents.
10 points
Average Height: 3'.
Average Weight: 42 lbs.
Age of Maturity: 8years.
Average Lifespan: 45 years.
Attribute Adjustments: ST -3 [-30].
Secondary Characteristic Adjustments: SM -2; Basic Move -1 [-5].
Advantages: Claws (Talons) [8]; DR 2 [10]; Discriminatory Smell [15]; Double-Jointed [15]; Teeth (Sharp Teeth) [1]; Vibration Sense [10].
Perks: Scales [1].
Disadvantages: Cold Blooded ("freeze up" below 50°) [-5]; Short Lifespan -1 [-10].
Small reptilian creatures that live along the northern shore of the Umojan jungles, kobolds are the one Umojan race that has had the most contact with the more civilized nations of Ophari. They are adapted to their natural habitat, being able to feel the vibrations in the air around them through their skin, as well as having exceptionally sharp noses, large claws, and powerful jaws.
Kobolds are fascinated by magic. It is not uncommon for kobold magicians to be found in southern Ophari, where the knowledge is more common. That the majority of kobolds visible to the people of Ophari, particularly the southern Teyoth region, are mages gives the false impression that almost all kobolds wield magic. This perception has been lessened since the founding of New Hope, but hasn't fully disappeared.
Their small size gives kobolds a bit of an inferiority complex when around larger folk. Hence, despite their smaller size, kobolds tend to be more ferocious and tenacious in combat. This also leads them to being overachievers among larger folk.
70 points
Average Height: 8'.
Average Weight: 1,000 lbs.
Age of Maturity: 9 years.
Average Lifespan: 60 years.
Attribute Adjustments: ST +10 (Size, -10%) [90]; IQ -2 [-40].
Secondary Characteristic Adjustments: SM +1; Basic Move +1 [5].
**The article is interrupted by records of crystals:**
~~~
[1]
Structure and computed powder XRD pattern of YTcN3 (DFT lattice parameters and positions (PBE); Cu Kα (λ = 1.5418 Å)).
Kinematic intensities with the Lorentz-polarization factor, no thermal factor.

Structure:
Cell lengths 7.437, 7.437, 4.930 Å; angles 92.21, 92.21, 92.13 degrees
Fractional positions:
Y 0.117 0.329 0.356
Y 0.329 0.117 0.856
Y 0.671 0.883 0.144
Y 0.883 0.671 0.644
Tc 0.198 0.802 0.250
Tc 0.447 0.553 0.750
Tc 0.553 0.447 0.250
Tc 0.802 0.198 0.750
N 0.027 0.221 0.897
N 0.189 0.632 0.525
N 0.221 0.027 0.397
N 0.320 0.433 0.068
N 0.368 0.811 0.975
N 0.433 0.320 0.568
N 0.567 0.680 0.432
N 0.632 0.189 0.025
N 0.680 0.567 0.932
N 0.779 0.973 0.603
N 0.811 0.368 0.475
N 0.973 0.779 0.103

The 10 most intense peaks (10 to 90 degrees two-theta), in order of rising 2θ:
2theta	I/Imax
22.06	45
26.42	46
27.26	30
29.55	78
30.74	100
31.89	45
34.82	34
37.86	32
41.48	31
53.78	30

---

[2]
Structure and computed powder XRD pattern of Zr2TcN (DFT lattice parameters and positions (PBE); Cu Kα (λ = 1.5418 Å)).
Kinematic intensities with the Lorentz-polarization factor, no thermal factor.

Structure:
Cell lengths 7.171, 7.171, 7.171 Å; angles 25.99, 25.99, 25.99 degrees
Fractional positions:
Zr 0.232 0.232 0.232
Zr 0.768 0.768 0.768
Tc 0.000 0.000 0.000
N 0.500 0.500 0.500

The 10 most intense peaks (10 to 90 degrees two-theta), in order of rising 2θ:
2theta	I/Imax
32.35	20
33.22	7
36.53	100
38.85	36
39.02	21
47.83	30
57.13	29
67.53	15
69.74	14
71.35	20

---

[3]
Structure and computed powder XRD pattern of ZrTcN (DFT lattice parameters and positions (PBE); Cu Kα (λ = 1.5418 Å)).
Kinematic intensities with the Lorentz-polarization factor, no thermal factor.

Structure:
Cell lengths 5.860, 5.860, 4.569 Å; angles 90.00, 90.00, 148.56 degrees
Fractional positions:
Zr 0.173 0.827 0.750
Zr 0.827 0.173 0.250
Tc 0.436 0.564 0.750
Tc 0.564 0.436 0.250
N 0.182 0.818 0.250
N 0.818 0.182 0.750

The 10 most intense peaks (10 to 90 degrees two-theta), in order of rising 2θ:
2theta	I/Imax
35.33	93
37.06	67
37.48	100
39.45	61
42.18	35
49.57	19
55.23	40
58.10	19
71.22	30
72.51	19

---

[4]
Structure and computed powder XRD pattern of ZrTcN (DFT lattice parameters and positions (PBE); Cu Kα (λ = 1.5418 Å)).
Kinematic intensities with the Lorentz-polarization factor, no thermal factor.

Structure:
Cell lengths 3.228, 3.228, 4.009 Å; angles 90.00, 90.00, 90.00 degrees
Fractional positions:
Zr 0.000 0.000 0.000
Tc 0.500 0.500 0.500
N 0.500 0.500 0.000

The 10 most intense peaks (10 to 90 degrees two-theta), in order of rising 2θ:
2theta	I/Imax
27.63	1
35.71	100
39.47	50
45.23	17
57.06	16
61.57	25
69.16	29
75.64	13
77.27	10
84.97	5

---

[5]
Structure and computed powder XRD pattern of TiVTeN2 (DFT lattice parameters and positions (PBE); Cu Kα (λ = 1.5418 Å)).
Kinematic intensities with the Lorentz-polarization factor, no thermal factor.

Structure:
Cell lengths 3.838, 3.838, 5.363 Å; angles 90.00, 90.00, 90.00 degrees
Fractional positions:
Ti 0.000 0.000 0.000
~~~
Advantages: Absolute Direction [5]; Claws (Hooves) [3]; DR 2 (Skull only, -70%) [3]; Discriminatory Hearing [15]; Discriminatory Smell [15]; Hard to Kill 3 [6]; High Pain Threshold [10]; Longevity [2]; Regeneration (Regular: 1 HP/hr) [25]; Striker (Impaling) (Horns) [8].
Perks: Fur [1].
Disadvantages: Appearance (Ugly) [-8]; Bad Sight (Nearsighted) [-25]; Restricted Diet (Herbivore) [-10]; Semi-Upright [-5]; Short Lifespan -1 [-10]; Social Stigma (Monster) [-15].
Minotaurs are massive creatures resembling a cross between humanoids and bulls. They stand eight feet tall, and have powerful muscles. While they have human-like hands – five fingers including an opposable thumb – their feet end in digitgrade hooves. All bulls and most cows have horns on their heads which point forwards; warriors often sharpen or decorate these horns for effect. The horns also provide some armor to the skull. While they generally have poor eyesight, being naturally nearsighted, their senses of hearing and smell are superhumanly acute.
Minotaurs prefer wide open fields; many are found in Rochlad and Gor Ansat, although they are known to range as far north as Evalon. They have a largely undeserved reputation for brutality and savagery. In truth, most minotaurs are the quintessential "gentle giants". That is, until they are provoked to violence, at which point they become fierce warriors.
Many minotaurs are possessed by wanderlust early in their adult lives, and leave home for "greener pastures". During this time period, which can last from four to ten years, minotaurs travel the world, learning all they can. After this time, most minotaurs settle into a town or village, often on the outskirts of a frontier settlement, content to live life as peacefully as possible. Most minotaurs will not take mates until their wanderlust period is over. Some scholars believe that the wanderlust is part of the divine plan for minotaurs, compelling them to travel until they meet desirable mates.
Despite legends to the contrary, minotaurs are decidedly vegetarians.
A minotaur's first impulse in combat is to charge. To initiate combat, a minotaur drops to all fours and charges at full speed towards his opponent, intending to gouge said opponent with his horns. Following this, should the opponent still be able to fight, the minotaur will draw his weapon.
Minotaurs are fierce opponents. In addition to being able to withstand about twice as much punishment as an average human, they are very difficult to actually kill, and can keep fighting long after others would have fallen from their wounds.
50 points
Average Height: 8'.
Average Weight: 420 lbs.
Age of Maturity: 16 years.
Average Lifespan: 140 years.
Attribute Adjustments: ST +5 (Size, -10%) [45]; DX +1 [20]; IQ -1 [-20].
Secondary Characteristic Adjustments: SM +1.
Advantages: Claws (Sharp Claws) [5]; DR 3 [15]; Extended Lifespan 1 (×2) [2]; Infravision [10]; Nictitating Membrane 2 [2]; Teeth (Sharp Teeth) [1].
Disadvantages: Cold-Blooded ("freeze up" below 50°) [-5]; Colorblindness [-10]; Stuttering [-10]; Vow (Never Eat Plant Matter Unless Absolutely Necessary) [-5].
Common Traits: (not part of the package) Odious Personal Habit (Eats Sapients) [-15].
Mohani are large, semi-humanoid reptilians who dominate the deep forests of Umoja. They are a powerfully-built race that stands upright, with sharp claws on their hands and feet, sharp teeth, and a short vestigial tail for balance. While unable to see colors, they are able to see into the infrared spectrum, enabling them to hunt by sensing body heat, which they themselves, being reptiles, do not give off. Their skin is protected by large, bony plates, and their eyes possess nictitating membranes enabling them to see clearly underwater.
The "Stuttering" trait isn't true stuttering; instead, it represents the fact that mohani speaking anything other than languages geared towards reptilians, such as Draconic, hiss the 'S' sound, making it seem as if they're adding at least two additional 'S'es to the word.
Mohani exist alongside nature, and revere it. They tend to eschew the trappings of civilization, believing that "civilization" is another word for "detached from nature." Instead, the majority of mohani exist in small tribes that wander throughout the Umojan jungles, living as simple hunter-gatherers. Those few mohani who have settled into Shakdran and New Hope are regarded with suspicion by other mohani.
The mohani way of life includes many practices that confuse and often disgust more civilized folk. While naturally omnivorous, the majority practice a strictly carnivorous way of life, down to the idea of never wasting meat. This often includes the practices of cannibalism and devouring of enemies slain in battle.
There is some evidence that mohani practices are innate, rather than societal. Even mohani who were hatched and grew up in civilized society, such as in New Hope and Shakdran, separated from other mohani exhibit a tendency towards hunting and carnivorism.
75 points
Average Weight: 1,000 lbs.
Age of Maturity: 8 years.
Average Lifespan: 35 years.
Attribute Adjustments: ST +10 (Size, -10%) [90]; IQ -3 [-60].
Secondary Characteristic Adjustments: SM +1; Will +3 [15]; Per +3 [15].
Advantages: Acute Taste and Smell 1 [2]; DR 3 (Tough Skin, -40%) [9]; Hard to Kill 3 [6]; High Pain Threshold [10]; Lifting ST +5 (Size, -10%) [14]; Magic Resistance 3 [6]; Night Vision 9 [9]; Regeneration (Regular, 1 HP/hr) [25]; Single-Minded [5]; Super Jump 1 [10].
Disadvantages: Appearance (Monstrous (to other races)) [-20]; Bestial [-10]; Odious Racial Habit (May Eat Sapients) [-15]; Short Lifespan -1 [-10]; Social Stigma (Regarded As An Animal or Valuable Property) [-10]; Truthfulness (6) [-10]; Workaholic [-5].
Quirks: Alcohol Intolerance [-1].
Ogres are the largest of the common races without actually being true "giants." Ogres stand 7 to 8 feet tall and are half a ton or more of pure muscle. They aren't the smartest creatures, either, but are normally able to ascertain whether or not someone trying to cheat them.
Ogres tend to be simple in their desires: enough food to sustain them and a comfortable place to sleep is all they really ask for. Because of this, many ogres find themselves willing slaves, performing grueling menial physical labor in exchange for letting someone else take care of their needs. Many are smart enough to figure out that the shiny pieces of metal the smaller folk use can be used to obtain food and shelter. Some unscrupulous types will often try and use an ogre in criminal dealings by promising bits of shiny metals in return for performing acts of mayhem; this can backfire when the ogre is stopped and asked who paid him, and the ogre names his employer.
Despite their tremendous bulk, ogres cannot hold their liquor. Fortunately, ninety percent of ogres lean towards being sleepy drunks rather than violent.
Ogres are brutally truthful; some are just terrible liars, but most ogres are just not smart enough to know how to lie. They are simple, direct, and tell things how they see it. Ogres are often referred to as "talking animals" based on how they react. When hungry, they seek out food; when cold, they seek out warmth; when they see something they want, they generally see nothing wrong with just taking; when confronted with danger, they exhibit the 'fight or flight' trait common to most animals.
"Civilized" ogres have been trained to suppress some of these instincts. While "wild" ogres see nothing wrong with eating another humanoid, ogres who have been brought into civilization are trained to understand that they can't eat anything else that walks on two legs.
Ogres are single-minded and determined; when an ogre puts his mind to something, he won't let anything distract him from what he's doing. Slave owners often like to encourage this; some ogre slaves have been known to work themselves into exhaustion, and are rewarded by a larger meal or an extra blanket.
When faced with a dangerous situation, the ogre's typical first instinct is to lash out at the danger with his fists, and keep hitting it until it doesn't move. Ogres know they are stronger and can take more punishment than most others, so they tend to be front-line fighters.
When faced with a clearly superior opponent, such as a rampaging giant or dragon, ogres tend to flee rather than fight, fighting only if cornered. A cornered ogre often lashes out in a violent rage that surprises even them, until they get far enough past the creature or creatures that cornered them to flee.
This weekend, I'll cover the races unique to Ranoc.